A lot of people unfriended or blocked those with opposing views on social media regarding the 2016 Presidential election. Unable to stomach their political rants, points-of-view or beliefs, fingers hit the ‘unfollow’ and ‘unfriend’ buttons daily, reducing their exposure to values that were painfully in contrast to their own. Here’s why I have not.
Why I Won’t Unfriend, Unfollow or Block Those With Differing Political Opinions
Today several are still unfriending those on Facebook and Twitter who are elated about or supporting our new President-elect Trump. But not me.
Yes, I disagree vehemently with most of the Republican mores, and have great disdain for President-elect Donald Trump. But as ugly as I may find it, I am not going to stick my head in the sand or close my ears and eyes to reality.
[These crystal structures were left in the page by mistake]
____________
Record 1
## YSb3 (meta-GGA SCAN)

Data for a PBEsol-optimized structure of YSb3.

The structure in extended XYZ format:
```
4
Lattice="-3.771 -1.021 1.834 2.067 -2.865 2.656 0.810 4.398 4.114" Properties=species:S:1:pos:R:3 pbc="T T T"
Sb -0.962 -1.791 2.104
Sb -0.960 0.968 3.642
Sb 1.841 -2.552 2.366
Y 1.944 0.067 4.033
```

Calculated values
M_tot = 0.00 Bohr magnetons per cell
VASP energy = -35.466 eV/atom
Space-group type = Pmm2 (25)
DOS(E_F) = 0.33 states/eV/cell


Record 2
## YSb4 (meta-GGA SCAN)

Data for a PBEsol-optimized structure of YSb4.

The structure in extended XYZ format:
```
5
Lattice="-1.904 -4.094 3.805 4.977 2.428 2.050 -4.122 4.182 -0.617" Properties=species:S:1:pos:R:3 pbc="T T T"
Sb -0.525 1.258 2.619
Sb -2.061 2.091 -0.308
Sb 2.488 1.214 1.025
Sb -0.952 -2.047 1.902
Y 0.000 0.000 0.000
```

Calculated values
M_tot = 0.00 Bohr magnetons per cell
VASP energy = -35.531 eV/atom
Space-group type = Im-3m (229)
DOS(E_F) = 3.17 states/eV/cell


no.,calculated volume (Å³ per atom)
1,28.98
2,31.70


No. 1
VASP calculation (PBE) on Si2HgOs after structural relaxation.

Structure (POSCAR):
```
Si2HgOs
1.0
-1.966 1.966 4.077
1.966 -1.966 4.077
1.966 1.966 -4.077
Si Hg Os
2 1 1
direct
0.000 0.000 0.000 Si
0.750 0.250 0.500 Si
0.250 0.750 0.500 Hg
0.500 0.500 0.000 Os
```

Output
Uncorrected formation energy, eV/atom: 0.739



No. 2
VASP calculation (PBE) on TiSiHgOs2 after structural relaxation.

Structure (POSCAR):
```
TiSiHgOs2
1.0
4.957 0.000 0.000
0.000 4.957 0.000
0.000 0.000 4.461
Ti Si Hg Os
1 1 1 2
direct
0.000 0.000 0.000 Ti
0.500 0.500 0.000 Si
0.500 0.500 0.500 Hg
0.000 0.500 0.500 Os
0.500 0.000 0.500 Os
```

Output
Uncorrected formation energy, eV/atom: 2.376



No. 3
VASP calculation (PBE) on TiSi2HgOs after structural relaxation.

Structure (POSCAR):
```
TiSi2HgOs
1.0
4.658 0.000 0.000
0.000 4.658 0.000
0.000 0.000 5.020
Ti Si Hg Os
1 2 1 1
direct
0.000 0.000 0.000 Ti
0.000 0.500 0.500 Si
0.500 0.000 0.500 Si
0.000 0.000 0.500 Hg
0.500 0.500 0.000 Os
```

Output
Uncorrected formation energy, eV/atom: 1.986



No. 4
VASP calculation (PBE) on SiHgOsW2 after structural relaxation.

Structure (POSCAR):
```
SiHgOsW2
1.0
4.779 0.000 0.000
0.000 4.779 0.000
0.000 0.000 5.135
Si Hg Os W
1 1 1 2
direct
0.000 0.000 0.000 Si
0.500 0.500 0.000 Hg
0.500 0.500 0.500 Os
0.000 0.500 0.500 W
0.500 0.000 0.500 W
```

Output
Uncorrected formation energy, eV/atom: 1.973



No. 5
VASP calculation (PBE) on YSi2HgOs after structural relaxation.

Structure (POSCAR):
```
YSi2HgOs
1.0
5.321 0.000 0.000
0.000 5.321 0.000
0.000 0.000 5.157
Y Si Hg Os
1 2 1 1
direct
0.000 0.000 0.000 Y
0.000 0.500 0.000 Si
0.500 0.000 0.000 Si
0.500 0.500 0.500 Hg
0.000 0.000 0.500 Os
```

Output
Uncorrected formation energy, eV/atom: 1.723



No. 6
VASP calculation (PBE) on ZnSiHgOs2 after structural relaxation.

Structure (POSCAR):
```
ZnSiHgOs2
1.0
4.655 0.000 0.000
0.000 4.655 0.000
0.000 0.000 4.240
Zn Si Hg Os
1 1 1 2
direct
0.000 0.000 0.000 Zn
____________
[Back to the page]
While hashtags such as #stillwithher and #notmypresident are trending on Twitter, we cannot change the fact that Hillary Clinton is out and Donald Trump is in.
The truth is the American people have spoken. And as shocking as it may be to myself and many of my liberal, tolerant, diverse and educated friends, it represents what the majority of people who live in this country now want.
While it’s at odds with my personal hopes for our future, the last thing I want is to be is in the dark about what my compatriots are doing now. Ignoring or denying what the bulk of the people in this country truly feel cannot be beneficial to those who want the best for it.
As an educated Jewish female who, among many things, opposes the death penalty and deportation, wants to ban plastic bags and guns, believes in legalizing marijuana and a woman’s right to choose, I am fearful. I am the minority. So what can I and those in my position do about that?
Now is not the time to disregard opposing values or beliefs. It is not the time to feel such exasperation that you give up or move to Canada.
Now is the time to take seriously what the people of power (and those who support them) in this country think and feel in order to either diffuse it, clarify it, combat it or change it.
Now is the time to be aware – even vigilant, in order to sustain a sense of humanity in the minds and hearts of all people, regardless of sex, race or political affiliation.
Now is the time to be exposed to opposition and to listen, so you can inform and educate others to ensure that the atrocities of history do not repeat themselves.
The point is to combat racism, intolerance, myopia and hate by exposing yourself to it and those who support it so you can respond intelligently, persuasively and affect change.
That is why.